I have a basic rule which will turn on the Porch Light if the Front Door Sensor is opened when the mode is Evening or Night, it will then turn it off if the contact is closed for 5 mins. What I would like it to do is if the mode goes from Day to Evening, and the Front Door contact is open, to turn the light on. Is this possible? I am thinking about this as 2 triggers, but reading up that is not possible in Hubitat? Or am I thinking of this wrong. Apologizes if this has been posted, did do a bit of googling and I couldn't figure it out. Thank you.
Right out of the gate, I'd suggest creating an entirely new rule for the 2nd automation instead of trying to modify the 1st one. The question you're then faced with is, Can the Basic Rules app accommodate all of the required elements?
The trigger based on Mode changing to "Evening"? No problem. Turning on the Porch Light in response? Sure. Doing so only when the Front Door contact is open? Not so much, since Basic Rules' optional restrictions are based exclusively on Time, Switches and/or Illuminance.
I'm afraid there is no provision for "Contacts" here, which suggests you might want to try creating your new rule in Rule Machine, whose restrictions (principally "Required Expressions" although it allows conditional branching in certain other contexts) can derive from pretty much anything you can conceive.
Something tells me you already sensed that coming, since you posted this in the RM category? If it would help you see a working example in RM, I can post a screenshot.
On the other hand, if you prefer working in Basic Rules, considering creating a Virtual Switch to mimic the Open/Closed status of your contact sensor, then use the Mirror App to have the switch follow the contact's status. This way, the switch can serve the purpose of restricting when your new Basic Rule executes.
Yes sorry I should have been more clear, I couldn't find a way to do it in Basic Rules, so I figured Rule machine was the way to go. I also think I was thinking about it the wrong way, correct me if I'm wrong, but I want 1 Trigger (moving from Day to evening) and 1 Condition (Front door contact is open) and 1 action with a follow up (turn off when front door sensor has been closed for 5 mins). Would it still make sense to have 2 rules, since my other rule is based on the Front Door sensor opening Trigger. I have tried to modify my Basic Rule by importing it into Rule Machine, i'm not sure if I have it correct. Any input or screenshots would be awesome, thank you.
Great, I think RM really is the right place (it's like you've graduated from Basic Rules!). As a graduation present, I've built you a sample rule taking into account (hopefully) everything you said you wanted it to do:
I think it's largely self-explanatory, but you might have to ponder a bit on what constitutes a Trigger (which is an spontaneous event), versus a Condition (the ongoing state of something), and how the latter can be used within an Expression (evaluating one or more conditions), along with how and there each one is employed throughout the rule.
I tried to name everything more or less in line with your naming scheme, to help make the rule as familiar as possible. Let me know if you have questions!
In reviewing your rule's first iteration (thanks for the screenshot), I see you made an inspired choice in selecting:
meaning the rule cancels pending actions when the R.E. becomes false. But I invite you to compare yours with mine, as far as how we're detecting the change in Mode. On mine, the R.E. of "Mode is Day" means "Refrain from running this rule unless Mode is currently set to Day." This gives meaning to the Trigger of "Mode becomes Evening" (which is how I interpreted your OP). In my rule, if Mode were anything else but Day, or changed to anything else but Evening, nothing happens. In yours, with "Mode changed" as your Trigger, it will fire under a lot more scenarios than you intended.
Another thing to consider: While you've correctly defined a Condition (under Conditions), notice how it is "(unused)", thus serving no purpose yet. Compare where I've placed it in my rule.
# Next to the page, the page also holds crystal structures
=====
Structure and calculated X-ray diffraction stick pattern of Hg2Bi2Te5 (a crystal structure in Alexandria, relaxed with GGA-PBE; copper Kα).
Lines closer than 0.1° are merged.

Principal peaks in the range 10° ≤ 2θ ≤ 90°, low angle first:
Position (°2θ), I_rel
18.92, 47
22.13, 41
22.30, 31
23.46, 74
35.09, 64
38.72, 100
41.83, 36
43.43, 39

Structure:
Cell: 18.950 18.950 18.950 Å, 14.10 14.10 14.10°
Sites, in units of the cell vectors:
Hg 0.000 0.000 0.000
Hg 0.171 0.171 0.171
Bi 0.585 0.585 0.585
Bi 0.762 0.762 0.762
Te 0.069 0.069 0.069
Te 0.221 0.221 0.221
Te 0.685 0.685 0.685
Te 0.817 0.817 0.817
Te 0.947 0.947 0.947
=====
# Here the page continues
Your rule nicely waits for the Front Door Contact to close and remain closed for 5 minutes, using "Wait for Event", whereas I elected a slightly different approach with "Wait for Expression". I believe both are valid in this circumstance.
Again, hoping all this helps shape your understanding of RM and its various parts. We've all gone down dead ends as we learn, so good luck!
harmony7, Thank you so much for your help! I was thinking a Condition was something which should be true when a trigger is set. The Cancel pending action when Required Expression becomes false is something which was defaulted? when I imported a basic rule into Rule Machine. I have followed your guide and implemented a rule. I noticed the rule has a (Required Expression false) next to the name. Is this because it won't trigger right now because it's not Day and the Front Door contact is closed?
Yes, the R.E. reports "(False)" (and is reflected in the rule name in the UI) because that's how it evaluated on my hub at that instant. You've got the right idea...
More generally speaking, a Required Expression must evaluate to True in order for the rule to be eligible to run (by being triggered).
Now that we've both had a good night's sleep, it's worth turning our attention to what you really intend this rule to accomplish. Before, you mentioned two triggers, with a specific Mode thrown in. Is it possible you meant for the rule to do this instead?
- Only run during Mode "Evening" (Req Exp)
(The page is interrupted by records of crystals)
Record 1
Simulated X-ray diffraction stick pattern
Compound: AlZn2SbH12O12
Radiation: Cu Ka
Structure: a DFT-relaxed cell (GGA-PBE, Alexandria)
Neutral-atom scattering factors, no anomalous dispersion.

Top 6 peaks for 5 to 70 degrees two-theta, by angle:
hkl 0 0 2, 18.0 deg, I 938; hkl 1 0 0, 18.8 deg, I 261; hkl 0 1 1, 20.9 deg, I 1000; hkl 0 1 3, 33.2 deg, I 306; hkl 1 1 2, 37.7 deg, I 653; hkl 1 1 4, 49.8 deg, I 451

Crystal structure
Unit cell a=5.4511 b=5.4511 c=9.8776 alpha=90.00 beta=90.00 gamma=120.00
Space group P-3 (No. 147)
Asymmetric unit:
Al: 0.0000 0.0000 0.0000 x1
Zn: 0.3333 0.6667 0.0104 x2
Sb: 0.0000 0.0000 0.5000 x1
H: 0.0339 0.3115 0.7999 x6
H: 0.1207 0.6589 0.6125 x6
O: 0.0051 0.3056 0.8988 x6
O: 0.1313 0.3404 0.6196 x6

Record 2
Simulated X-ray diffraction stick pattern
Compound: AlH5Se2O8
Radiation: Cu Ka
Structure: a DFT-relaxed cell (GGA-PBE, Alexandria)
Neutral-atom scattering factors, no anomalous dispersion.

Top 6 peaks for 5 to 70 degrees two-theta, by angle:
hkl 0 1 1, 18.1 deg, I 313; hkl 1 1 0, 19.8 deg, I 1000; hkl 1 0 -2, 19.9 deg, I 378; hkl 0 2 0, 26.5 deg, I 320; hkl 0 1 2, 28.2 deg, I 567; hkl 2 1 -2, 28.3 deg, I 507

Crystal structure
Unit cell a=7.456 b=6.732 c=8.909 alpha=90.00 beta=126.41 gamma=90.00
Space group P2_1/c (No. 14)
Asymmetric unit:
Al: 0.000 0.000 0.000 x2
H: 0.316 0.246 0.587 x4
H: 0.322 0.212 0.269 x4
H: 0.500 0.000 0.500 x2
Se: 0.250 0.704 0.345 x4
- When the door opens (Trigger)...
- ...Turn ON the light (Act1)
- Turn OFF the light 5 mins. after door closes (Act2)
I suspect this is what you intended, rather than triggering just on the "Day" to "Evening" transition. If so, this greatly simplifies the rule!
I hope this modification helps illustrate some of the nuances encountered in Rule Machine, and better suits your needs.
I actually want it to do both, so I after tinkering with it I think I need 2 rules. One to turn on the light in the evening if the door contact is opened. Also one to turn on the light in the transition from Day to Evening if the door contact is open. Would the rule you posted trigger on the transition? Basically I'm out in the front yard, the sun sets, would the light automatically turn on if the front door is open?
You do not need two rules as this can be done in one rule using conditional triggers instead of required expressions. See this sample:
I've used my own stuff, but it would work for you. In the triggers, my the rule would run if:
1.) Mode becomes Ambiance (your Evening), but only if the front door was open
2.) The front door opens, but only if in the Mode of Ambiance or Overnight (your evening and night modes)
From there, the actions are the same. Turn on the light, wait for the front door to close and stay that way for 5 minutes, and finally turn off the light. Reading this thread, this should accomplish everything you want in a single rule.
That worked great, thank you.
Yes, this is an excellent way to make something happen only when two conditions apply — trigger on each with a condition on the other.
If you need more than two, you have to phrase it differently: trigger on all of them, then wrap the whole thing in an IF(A AND B AND...) The rule will trigger a lot, but do nothing if they haven't all been met yet.
It's useful to understand what Rule Machine is doing for you. Required Expressions are essentially an implied helper rule that enables and disables your actual rule. Conditional triggers basically wrap your rule in an IF, except that you can define a separate condition for each trigger if you want.